To respond to the demand for better coordination of research, PROVIA has led the development of a set of Research Priorities on vulnerability, impacts and adaptation in consultation with both experts and policymakers.

World leaders at the 2012 United Nations Conference on Sustainable Development (Rio+20) reaffirmed their commitment to sustainable development which embraces economic progress, social development, and environmental protection for the benefit of all.

Through this Investor Briefing, UNEP FI provides a clear and compelling case for why and how investors and their service providers should start measuring, disclosing and reducing the GHG emissions associated with their investments and investment portfolios.

GEO-5 for Business is written for business leaders who are responsible for ensuring that risks and opportunities are understood, addressed, and turned into long-term competitive advantage for their companies. The report assesses the operational, market, reputational, and policy implications of environmental trends on ten business sectors.

Report from UNEP-Frankfurt School examines in detail how investment flows into renewables are evolving around the world, and the reasons for those changes. Global Trends in Renewable Energy Investment 2013 is the sixth edition of the UNEP report.

Misplaced data records:
+++
The following is a theoretical X-ray diffraction stick pattern of RbSmSe2O8. It was derived from a structure optimized by DFT (GGA-PBE), using Cu Kα (weighted mean of Kα1 and Kα2).
Neutral-atom scattering factors, no anomalous dispersion.

Main lines, low angle first (2θ = 15–90°):
- 24.6°, I = 58, hkl 2 0 -2
- 26.9°, I = 100, hkl 1 2 -1
- 27.4°, I = 26, hkl 2 1 -2
- 27.9°, I = 77, hkl 2 1 2
- 32.1°, I = 24, hkl 0 0 4
- 45.1°, I = 29, hkl 1 3 3
- 47.7°, I = 25, hkl 3 3 1
- 48.4°, I = 24, hkl 1 2 -5

Structural model:
Cell: 9.3188 7.4538 11.1545 Å, 90.00 91.20 90.00°
Sites, in units of the cell vectors:
Rb: 0.0637 0.1452 0.3405
Rb: 0.0637 0.3548 0.8405
Rb: 0.9363 0.6452 0.1595
Rb: 0.9363 0.8548 0.6595
Sm: 0.4473 0.6681 0.6518
Sm: 0.4473 0.8319 0.1518
Sm: 0.5527 0.1681 0.8482
Sm: 0.5527 0.3319 0.3482
Se: 0.2354 0.6584 0.4120
Se: 0.2354 0.8416 0.9120
Se: 0.3217 0.1673 0.6086
Se: 0.3217 0.3327 0.1086
Se: 0.6783 0.6673 0.8914
Se: 0.6783 0.8327 0.3914
Se: 0.7646 0.1584 0.0880
Se: 0.7646 0.3416 0.5880
O: 0.1013 0.5276 0.3730
O: 0.1013 0.9724 0.8730
O: 0.1464 0.1484 0.6054
O: 0.1464 0.3516 0.1054
O: 0.2175 0.7405 0.0458
O: 0.2175 0.7595 0.5458
O: 0.2668 0.6879 0.8054
O: 0.2668 0.8121 0.3054
O: 0.3719 0.1553 0.1965
O: 0.3719 0.3447 0.6965
O: 0.3849 0.1724 0.4701
O: 0.3849 0.3276 0.9701
O: 0.3894 0.5449 0.4456
O: 0.3894 0.9551 0.9456
O: 0.4090 0.0029 0.6872
O: 0.4090 0.4971 0.1872
O: 0.5910 0.5029 0.8128
O: 0.5910 0.9971 0.3128
O: 0.6106 0.0449 0.0544
O: 0.6106 0.4551 0.5544
O: 0.6151 0.6724 0.0299
O: 0.6151 0.8276 0.5299
O: 0.6281 0.6553 0.3035
O: 0.6281 0.8447 0.8035
O: 0.7332 0.1879 0.6946
O: 0.7332 0.3121 0.1946
O: 0.7825 0.2405 0.4542
O: 0.7825 0.2595 0.9542
O: 0.8536 0.6484 0.8946
O: 0.8536 0.8516 0.3946
O: 0.8987 0.0276 0.1270
O: 0.8987 0.4724 0.6270

----------

Entry 1:
For Th12Co6Sb, a DFT-relaxed cell (PBE, Alexandria) gives the computed powder diffractogram in this record (Cu Kα, 1.54184 Å).
Neutral-atom scattering factors, no anomalous dispersion.

Largest 10 diffraction maxima, in order of rising 2θ, 10° ≤ 2θ ≤ 80°:
- 2θ = 25.34°, I 13, hkl 2 2 0
- 2θ = 28.39°, I 73, hkl 3 0 1
- 2θ = 31.16°, I 25, hkl 2 2 2
- 2θ = 33.73°, I 100, hkl 3 1 2
- 2θ = 46.58°, I 20, hkl 4 3 1
- 2θ = 53.76°, I 40, hkl 5 3 0
- 2θ = 55.46°, I 19, hkl 6 0 0
- 2θ = 57.11°, I 33, hkl 5 2 3
- 2θ = 63.46°, I 12, hkl 6 1 3
- 2θ = 66.50°, I 14, hkl 5 4 3

Crystal structure
```
data_Th12Co6Sb
_chemical_formula_sum 'Th24 Co12 Sb2'
_cell_length_a 9.9416
_cell_length_b 9.9416
_cell_length_c 9.9416
_cell_angle_alpha 90.00
_cell_angle_beta 90.00
_cell_angle_gamma 90.00
_symmetry_space_group_name_H-M 'I m -3'
_symmetry_Int_Tables_number 204
_symmetry_space_group_name_Hall '-I 2 2 3'
loop_
_atom_site_label
_atom_site_type_symbol
_atom_site_fract_x
_atom_site_fract_y
_atom_site_fract_z
Th1 Th 0.0000 0.3140 0.1777
Co1 Co 0.0000 0.1327 0.5000
Sb1 Sb 0.0000 0.0000 0.0000
```

=====

Entry 2:
+++

By addressing the critical nexus between a green economy and international trade, this report responds to the calls made by world leaders at Rio+20 for supporting the transition to a green economy that contributes to poverty eradication and sustainable development.

By addressing the critical nexus between a green economy and international trade, this report responds to the calls made by world leaders at Rio+20 for supporting the transition to a green economy that contributes to poverty eradication and sustainable development.

Building upon previous work of the International Resource Panel on Decoupling Natural Resource Use and Environmental Impacts from Economic Growth, this report examines the potential for decoupling at the city level.

The UNEP has released the Third African Environment Outlook (AEO-3) Summary for Policy Makers, commissioned by the African Ministerial Conference on the Environment (AMCEN).

This document provides a practical and useful assessment of the current state of knowledge of the economic costs of inaction on the sound management of chemicals. It makes available early research findings and the evidence needed to support the argument for enhanced political action.
